Material >
VASP calculation (GGA-PBE) on an optimized crystal structure of AcSm2ThS4.

```
AcSm2ThS4
1.0
4.056 0.000 0.000
0.000 7.133 -0.175
0.000 2.479 6.621
Th S Sm Ac
1 4 2 1
Cartesian
0.000 4.806 3.223
2.028 6.048 1.554
0.000 7.285 4.748
2.028 3.564 4.893
4.056 2.327 1.699
2.028 1.239 3.311
0.000 2.479 6.621
2.028 6.045 6.534
```

Output
SG: P2/m (10)
magnetization: 0.00 μB per cell
total DFT energy (no corrections): -53.05 eV/f.u.
uncorrected formation energy: -1502 kJ/mol of formula units
calculated volume: 24.17 A^3/atom

VASP calculation (GGA-PBE) on an optimized crystal structure of MnGaBRuSe.

```
MnGaBRuSe
1.0
3.252 -0.016 0.008
-1.609 2.841 -0.013
-0.025 -1.860 8.047
Mn Se Ru B Ga
1 1 1 1 1
Cartesian
-0.463 0.203 7.658
1.161 -0.756 6.073
1.176 1.123 1.714
2.800 0.163 0.761
1.160 -0.758 3.527
```

Output
SG: Cm (8)
magnetization: 2.86 μB per cell
total DFT energy (no corrections): -32.65 eV/f.u.
excess energy over the best structure of this formula in the dataset: 0.08 eV/f.u.
uncorrected formation energy: -98 kJ/mol of formula units
calculated volume: 14.82 A^3/atom

VASP calculation (GGA-PBE) on an optimized crystal structure of MnReBr2.

```
MnReBr2
1.0
3.249 -0.003 0.000
-1.808 2.699 0.000
0.000 0.000 9.544
Re Br Mn
1 2 1
Cartesian
0.720 1.348 7.158
0.000 0.000 9.206
0.000 0.000 5.109
0.720 1.348 2.386
```

Output
SG: Cmmm (65)
magnetization: 4.61 μB per cell
total DFT energy (no corrections): -21.12 eV/f.u.
excess energy over the best structure of this formula in the dataset: 3.01 eV/f.u.
uncorrected formation energy: 371 kJ/mol of formula units
calculated volume: 20.91 A^3/atom

VASP calculation (GGA-PBE) on an optimized crystal structure of YSe.

```
YSe
1.0
-1.498 -4.641 4.145
6.221 -1.027 1.099
-0.132 4.286 4.752
Se Y
4 4
Cartesian
1.148 -0.346 2.499
3.509 -3.180 5.121
4.192 1.284 5.424
0.333 -0.523 6.947
2.361 -2.834 2.622
0.000 0.000 0.000
-0.815 -0.178 4.448
3.045 1.629 2.925
```

Output
SG: F-43m (216)
magnetization: 0.00 μB per cell
total DFT energy (no corrections): -12.68 eV/f.u.
uncorrected formation energy: -264 kJ/mol of formula units
calculated volume: 32.77 A^3/atom

VASP calculation (GGA-PBE) on an optimized crystal structure of NbNiP3.

```
NbNiP3
1.0
4.769 0.000 0.000
0.000 4.769 0.000
0.000 0.000 4.769
P Nb Ni
3 1 1
Cartesian
0.000 0.000 2.384
2.384 0.000 0.000
0.000 2.384 0.000
0.000 0.000 0.000
2.384 2.384 2.384
```

Output
SG: Pm-3m (221)
magnetization: 0.19 μB per cell
total DFT energy (no corrections): -27.92 eV/f.u.
excess energy over the best structure of this formula in the dataset: 1.40 eV/f.u.
energy of formation: 0.83 eV per atom
calculated volume: 21.69 A^3/atom

VASP calculation (GGA-PBE) on an optimized crystal structure of InPdBrF2.

```
InPdBrF2
1.0
4.416 0.000 0.000
0.000 5.179 0.000
0.000 0.000 4.416
F Br In Pd
2 1 1 1
Cartesian
0.000 0.000 2.208
2.208 0.000 0.000
0.000 2.589 0.000
2.208 2.589 2.208
0.000 0.000 0.000
```

Output
SG: P4/mmm (123)
magnetization: 0.00 μB per cell
total DFT energy (no corrections): -18.17 eV/f.u.
uncorrected formation energy: -465 kJ/mol of formula units
calculated volume: 20.19 A^3/atom

VASP calculation (GGA-PBE) on an optimized crystal structure of LiIOF2.

```
LiIOF2
1.0
3.646 0.000 0.000
0.000 3.646 0.000
0.000 0.000 4.310
Li F I O
1 2 1 1
Cartesian
0.000 0.000 0.000
1.823 0.000 0.000
0.000 1.823 0.000
1.823 1.823 2.155
0.000 0.000 2.155
```

Output
SG: P4/mmm (123)
magnetization: 0.00 μB per cell
total DFT energy (no corrections): -17.07 eV/f.u.
excess energy over the best structure of this formula in the dataset: 0.00 eV/f.u.
uncorrected formation energy: -474 kJ/mol of formula units
calculated volume: 11.46 A^3/atom

VASP calculation (GGA-PBE) on an optimized crystal structure of KTeW4.

```
KTeW4
1.0
-1.469 0.833 5.290
-1.741 5.010 1.642
-5.338 0.793 1.307
Te K W
1 1 4
Cartesian
0.000 0.000 0.000
-6.411 4.977 6.179
-3.949 2.916 5.691
-4.082 4.949 3.916
-3.234 2.511 3.117
-5.832 2.897 3.753
```

Output
SG: F-43m (216)

Request >
Give back the rows further up from the line with "9.544" to the end without additions.

Worked solution >
0.000 0.000 9.544
Re Br Mn
1 2 1
Cartesian
0.720 1.348 7.158
0.000 0.000 9.206
0.000 0.000 5.109
0.720 1.348 2.386
```

Output
SG: Cmmm (65)
magnetization: 4.61 μB per cell
total DFT energy (no corrections): -21.12 eV/f.u.
excess energy over the best structure of this formula in the dataset: 3.01 eV/f.u.
uncorrected formation energy: 371 kJ/mol of formula units
calculated volume: 20.91 A^3/atom

VASP calculation (GGA-PBE) on an optimized crystal structure of YSe.

```
YSe
1.0
-1.498 -4.641 4.145
6.221 -1.027 1.099
-0.132 4.286 4.752
Se Y
4 4
Cartesian
1.148 -0.346 2.499
3.509 -3.180 5.121
4.192 1.284 5.424
0.333 -0.523 6.947
2.361 -2.834 2.622
0.000 0.000 0.000
-0.815 -0.178 4.448
3.045 1.629 2.925
```

Output
SG: F-43m (216)
magnetization: 0.00 μB per cell
total DFT energy (no corrections): -12.68 eV/f.u.
uncorrected formation energy: -264 kJ/mol of formula units
calculated volume: 32.77 A^3/atom

VASP calculation (GGA-PBE) on an optimized crystal structure of NbNiP3.

```
NbNiP3
1.0
4.769 0.000 0.000
0.000 4.769 0.000
0.000 0.000 4.769
P Nb Ni
3 1 1
Cartesian
0.000 0.000 2.384
2.384 0.000 0.000
0.000 2.384 0.000
0.000 0.000 0.000
2.384 2.384 2.384
```

Output
SG: Pm-3m (221)
magnetization: 0.19 μB per cell
total DFT energy (no corrections): -27.92 eV/f.u.
excess energy over the best structure of this formula in the dataset: 1.40 eV/f.u.
energy of formation: 0.83 eV per atom
calculated volume: 21.69 A^3/atom

VASP calculation (GGA-PBE) on an optimized crystal structure of InPdBrF2.

```
InPdBrF2
1.0
4.416 0.000 0.000
0.000 5.179 0.000
0.000 0.000 4.416
F Br In Pd
2 1 1 1
Cartesian
0.000 0.000 2.208
2.208 0.000 0.000
0.000 2.589 0.000
2.208 2.589 2.208
0.000 0.000 0.000
```

Output
SG: P4/mmm (123)
magnetization: 0.00 μB per cell
total DFT energy (no corrections): -18.17 eV/f.u.
uncorrected formation energy: -465 kJ/mol of formula units
calculated volume: 20.19 A^3/atom

VASP calculation (GGA-PBE) on an optimized crystal structure of LiIOF2.

```
LiIOF2
1.0
3.646 0.000 0.000
0.000 3.646 0.000
0.000 0.000 4.310
Li F I O
1 2 1 1
Cartesian
0.000 0.000 0.000
1.823 0.000 0.000
0.000 1.823 0.000
1.823 1.823 2.155
0.000 0.000 2.155
```

Output
SG: P4/mmm (123)
magnetization: 0.00 μB per cell
total DFT energy (no corrections): -17.07 eV/f.u.
excess energy over the best structure of this formula in the dataset: 0.00 eV/f.u.
uncorrected formation energy: -474 kJ/mol of formula units
calculated volume: 11.46 A^3/atom

VASP calculation (GGA-PBE) on an optimized crystal structure of KTeW4.

```
KTeW4
1.0
-1.469 0.833 5.290
-1.741 5.010 1.642
-5.338 0.793 1.307
Te K W
1 1 4
Cartesian
0.000 0.000 0.000
-6.411 4.977 6.179
-3.949 2.916 5.691
-4.082 4.949 3.916
-3.234 2.511 3.117
-5.832 2.897 3.753
```

Output
SG: F-43m (216)